-- File --
........
Record 1
A geometry-optimized Nd9Al5S21 structure. Source: the Materials Project, functional r2SCAN.

a b c (Å): 17.2325 17.2325 18.4104
angles (deg): 90.00 90.00 120.00
Closest atoms and distances in Å follow each position.
Space group R3 (No. 146, hexagonal axes)
Unique sites:
Nd1 0.0211 0.8260 0.0000 [9 per cell]  7 S 2.86-3.04
Nd2 0.0272 0.8227 0.3215 [9 per cell]  7 S 2.82-3.07
Nd3 0.0313 0.8279 0.6602 [9 per cell]  7 S 2.84-3.02
Nd4 0.1558 0.4631 0.4864 [9 per cell]  7 S 2.83-3.04
Nd5 0.1584 0.4651 0.8305 [9 per cell]  7 S 2.81-3.11
Nd6 0.1622 0.4679 0.1649 [9 per cell]  7 S 2.85-3.01
Al1 0.0000 0.0000 0.2182 [3 per cell]  6 S 2.41-2.48
Al2 0.0000 0.0000 0.4003 [3 per cell]  3 S 2.32
Al3 0.0000 0.0000 0.7164 [3 per cell]  6 S 2.42-2.48
Al4 0.0000 0.0000 0.8986 [3 per cell]  3 S 2.32
Al5 0.0026 0.3401 0.6867 [9 per cell]  4 S 2.22-2.26
Al6 0.0053 0.6691 0.5200 [9 per cell]  4 S 2.22-2.26
S1 0.9998 0.3331 0.2330 [9 per cell]  1 Al 2.22
S2 0.0001 0.6688 0.7329 [9 per cell]  1 Al 2.22
S3 0.0101 0.4578 0.4004 [9 per cell]  1 Al 2.26
S4 0.0143 0.8902 0.4620 [9 per cell]  1 Al 2.32
S5 0.0139 0.8962 0.8013 [9 per cell]  2 Al 2.48-2.62
S6 0.0164 0.8885 0.1515 [9 per cell]  1 Al 2.41
S7 0.0198 0.4650 0.7386 [9 per cell]  1 Al 2.24
S8 0.0253 0.4597 0.0676 [9 per cell]  1 Al 2.24
S9 0.1178 0.0148 0.3036 [9 per cell]  2 Al 2.48-2.62
S10 0.1225 0.0109 0.9607 [9 per cell]  1 Al 2.32
S11 0.1229 0.7799 0.9042 [9 per cell]  1 Al 2.25
S12 0.1271 0.7688 0.2349 [9 per cell]  1 Al 2.26
S13 0.1292 0.0185 0.6497 [9 per cell]  1 Al 2.42
S14 0.1320 0.7792 0.5676 [9 per cell]  1 Al 2.23

For the formation energy, the calculation gives -2.006 eV/atom. Its total moment is 0.000 μB/atom. The value obtained for the raw total energy is -15.35 eV/atom.

Record 2
A geometry-optimized Mn4Nb2O9 structure. Source: the Materials Project, functional r2SCAN.

a b c (Å): 5.2974 5.2974 14.3562
angles (deg): 90.00 90.00 120.00
Closest atoms and distances in Å follow each position.
Space group P-3c1 (No. 165)
Unique sites:
Mn1 0.3333 0.6667 0.1971 [4 per cell]  3 O 2.06
Mn2 0.3333 0.6667 0.4835 [4 per cell]  6 O 2.12-2.22
Nb1 0.0000 0.0000 0.1418 [4 per cell]  6 O 1.93-2.16
O1 0.0000 0.2827 0.2500 [6 per cell]  2 Mn 2.06, 2 Nb 2.16
O2 0.0254 0.3414 0.5849 [12 per cell]  1 Nb 1.93, 1 Mn 2.12

For the formation energy, the calculation gives -2.420 eV/atom. Its total moment is 0.000 μB/atom. The value obtained for the raw total energy is -13.22 eV/atom.

Record 3
A geometry-optimized Mg2CdAg structure. Source: the Materials Project, functional r2SCAN.

a b c (Å): 6.7587 6.7587 6.7587
angles (deg): 90.00 90.00 90.00
Closest atoms and distances in Å follow each position.
Space group Fm-3m (No. 225)
Unique sites:
Mg1 0.2500 0.2500 0.2500 [8 per cell]  4 Cd 2.93, 4 Ag 2.93
Cd1 0.0000 0.0000 0.0000 [4 per cell]  8 Mg 2.93
Ag1 0.0000 0.0000 0.5000 [4 per cell]  8 Mg 2.93

For the formation energy, the calculation gives -0.147 eV/atom. Its total moment is 0.000 μB/atom. The value obtained for the raw total energy is -12.60 eV/atom.

Record 4
A geometry-optimized CeIn2Pt2 structure. Source: the Materials Project, functional r2SCAN.

a b c (Å): 10.2795 4.4986 10.3123
angles (deg): 90.00 117.34 90.00
Closest atoms and distances in Å follow each position.
Space group P2_1/m (No. 11)
Unique sites:
Ce1 0.0461 0.2500 0.2923 [2 per cell]  7 Pt 2.99-3.21
Ce2 0.4021 0.2500 0.2093 [2 per cell]  3 Pt 2.87-3.21
In1 0.1175 0.7500 0.0744 [2 per cell]  4 Pt 2.71-2.89
In2 0.2279 0.7500 0.6012 [2 per cell]  6 Pt 2.77-2.94
In3 0.3531 0.7500 0.9446 [2 per cell]  5 Pt 2.80-2.94
In4 0.4061 0.2500 0.5387 [2 per cell]  4 Pt 2.77-2.80
Pt1 0.0720 0.2500 0.6023 [2 per cell]  3 In 2.77-2.82, 4 Pt 2.85-2.99, 3 Ce 2.99-3.08
Pt2 0.1590 0.2500 0.9220 [2 per cell]  5 In 2.86-2.94, 3 Ce 2.87-3.18, 2 Pt 2.99-3.07
Pt3 0.2933 0.7500 0.3670 [2 per cell]  5 In 2.71-2.79
Pt4 0.3776 0.2500 0.7963 [2 per cell]  6 In 2.80-2.94, 2 Pt 2.85-3.07
........

-- Job --
Now say how many lines of the block earlier on hold the word "is", as a bare number.

-- Written answer --
3